Nine Reasons To Keep Your Annual OB-GYN Appointment

• These data records were left in the page by mistake:
A.
The following is a DFT calculation (PBE with a Hubbard U) of an optimized crystal structure of LiFeP4O12.

Cell: 8.9908 8.9908 9.9647 Å, 58.98 58.98 49.49°
Fractional positions:
1 O 0.7655 0.5470 0.3987
2 O 0.7604 0.0239 0.2178
3 O 0.4530 0.2345 0.1013
4 O 0.5958 0.1558 0.5393
5 O 0.3494 0.1430 0.8335
6 O 0.1430 0.3494 0.3335
7 O 0.2004 0.9463 0.0703
8 O 0.2345 0.4530 0.6013
9 O 0.8442 0.4042 0.9607
10 O 0.8570 0.6506 0.6665
11 O 0.2396 0.9761 0.7822
12 O 0.4844 0.3634 0.7158
13 O 0.9761 0.2396 0.2822
14 O 0.6506 0.8570 0.1665
15 O 0.9463 0.2004 0.5703
16 O 0.7996 0.0537 0.9297
17 O 0.5156 0.6366 0.2842
18 O 0.5470 0.7655 0.8987
19 O 0.1558 0.5958 0.0393
20 O 0.0239 0.7604 0.7178
21 O 0.3634 0.4844 0.2158
22 O 0.6366 0.5156 0.7842
23 O 0.4042 0.8442 0.4607
24 O 0.0537 0.7996 0.4297
25 Fe 0.2818 0.7182 0.2500
26 Fe 0.7182 0.2818 0.7500
27 Li 0.1653 0.8347 0.7500
28 Li 0.8347 0.1653 0.2500
29 P 0.2701 0.4358 0.1616
30 P 0.6796 0.0402 0.1111
31 P 0.3204 0.9598 0.8889
32 P 0.5642 0.7299 0.3384
33 P 0.9598 0.3204 0.3889
34 P 0.7299 0.5642 0.8384
35 P 0.0402 0.6796 0.6111
36 P 0.4358 0.2701 0.6616

=====

B.
The following is a DFT calculation (PBE with a Hubbard U) of an optimized crystal structure of LiFeP4O12.

Cell: 9.8518 9.8518 11.4426 Å, 39.34 39.34 50.68°
Fractional positions:
1 O 0.3868 0.3773 0.3054
2 O 0.0755 0.2873 0.2064
3 O 0.0013 0.7451 0.3470
4 O 0.9245 0.7127 0.7936
5 O 0.2026 0.5320 0.5963
6 O 0.0145 0.3062 0.0190
7 O 0.6227 0.6132 0.1946
8 O 0.5320 0.2026 0.0963
9 O 0.7974 0.4680 0.4037
10 O 0.7451 0.0013 0.8470
11 O 0.2549 0.9987 0.1530
12 O 0.6938 0.9855 0.4810
13 O 0.5404 0.1947 0.6148
14 O 0.7127 0.9245 0.2936
15 O 0.4596 0.8053 0.3852
16 O 0.9855 0.6938 0.9810
17 O 0.6132 0.6227 0.6946
18 O 0.4680 0.7974 0.9037
19 O 0.8053 0.4596 0.8852
20 O 0.3773 0.3868 0.8054
21 O 0.2873 0.0755 0.7064
22 O 0.1947 0.5404 0.1148
23 O 0.9987 0.2549 0.6530
24 O 0.3062 0.0145 0.5190
25 P 0.7981 0.7681 0.9617
26 P 0.2319 0.2019 0.5383
27 P 0.4987 0.0133 0.6835
28 P 0.0133 0.4987 0.1835
29 P 0.5013 0.9867 0.3165
30 P 0.2019 0.2319 0.0383
31 P 0.7681 0.7981 0.4617
32 P 0.9867 0.5013 0.8165
33 Li 0.2828 0.7172 0.2500
34 Li 0.7172 0.2828 0.7500
35 Fe 0.5000 0.5000 0.5000
36 Fe 0.5000 0.5000 0.0000

=====

Most stable to least stable, the ends of the list are B and A.

=====

A.
The following is a DFT calculation (PBE with a Hubbard U) of an optimized crystal structure of LiFeP4O12.

Cell: 13.7182 5.2426 7.3535 Å, 81.84 90.00 90.00°
Fractional positions:
1 O 0.6094 0.9729 0.7738
2 O 0.2447 0.3765 0.7650
3 O 0.1085 0.2906 0.4894
4 O 0.4869 0.0742 0.5169
5 O 0.1576 0.8097 0.5479
6 O 0.6576 0.1903 0.4521
7 O 0.3602 0.7243 0.5105
8 O 0.8610 0.0041 0.2302
9 O 0.3610 0.9959 0.7698
10 O 0.2663 0.0470 0.0521
11 O 0.9018 0.6476 0.0387
12 O 0.2172 0.6270 0.2278
13 O 0.1094 0.0271 0.2262
14 O 0.3181 0.2095 0.4435
15 O 0.7663 0.9530 0.9479
16 O 0.7172 0.3730 0.7722
17 O 0.7447 0.6235 0.2350
18 O 0.6177 0.1850 0.0590
19 O 0.9869 0.9258 0.4831

Posted by Signature Medical Group on Friday, April 14, 2017 in Obstetrics/Gynecology

An annual visit to an OB/GYN may not be among a woman's favorite things. But health experts stress that yearly visits are important for your overall health.

At Signature Medical Group, our OB/GYNs care about your special needs. We offer our obstetrical, gynecological and fertility care with a personalized touch. Our practices are designed to cover you throughout all stages of your life, from the teenage years, to pregnancy, menopause and beyond.

We agree with Penn Medicine, which lists nine reasons to keep your yearly well-woman visits with an OB/GYN:

  1. Talk about birth control. Life changes, and the birth control method that was right for you last year may not be the best for you this year. New options appear all the time. A Signature OB/GYN is the perfect person to talk to in an annual visit.
  2. Preventive care. Women are lucky in that there is a specialized physician to not only deal with our bodies, but also counsel us on ways that we can stay healthy overall. Having the opportunity to discuss everything from our diets to exercise to our mental health with someone that is an expert in treating women is a privilege that should not be missed.
  3. Clinical breast exam. Ideally, we will be giving ourselves self-breast-exams monthly. But it is reassuring to have an expert perform an easy, quick and painless breast exam once a year just to back up the idea that what we are feeling is normal (for us).
  4. Vaccinations. The annual OB/GYN exam is also a good time to go over what vaccinations you may need such as the flu or pneumovax. An important vaccination for young women to get is the HPV vaccine. At a woman's first OB/GYN visit (likely around age 18), it is important to make sure this vaccine is to date if it has not already been given.
  5. Let's talk about sex. Concerns about intercourse for those young and old can be discussed openly at this appointment. Whether it is to talk about sexually transmitted infections, birth control options or even pain during intercourse, your Signature OB/GYN will make you feel comfortable.
  6. So you may have a bit of leaking. Incontinence is not necessarily a subject that women want to talk about. Your Signature OB/GYN can be a first stop for you to discuss options for helping minimize this problem or refer you to someone that specializes in urogynecology.
  7. Discussing your period. Having a conversation about your period can tell your Signature OB/GYN a lot about your health.
  8. Preconception counseling. If you are in the childbearing years, it is important to think ahead and create a healthy environment for you to conceive. Talking with your Signature OB/GYN about vitamin/nutrient intake, family history and lifestyle are important conversations that help lead to a successful pregnancy.
  9. Mental health and wellness. Most women have times where their emotions go astray. Whether it is early in life, postpartum, driven by menopause or for no known reason, it is important to have someone that you can feel comfortable talking to.

At Signature, our OB/GYNs are here to help with any issue that may come up. You're close to us no matter where you are. You can see us throughout the day, including after work and during lunch. So why wait? Call today to make an appointment.